Far above in the inky blackness of space a lone ship drifted through the cosmos with no apparent destination set in mind. However within the confines of the vessel a gathering, the likes of which none could imagine, was taking place. Elder Hunters of all the Clans from the Yautja and Hish homeworlds had gathered aboard this neutral ground in order to discuss a revelation brought to the attention of a young Clan Leader.

********
# 1
Gd6Mn23 | PBE | optimized geometry Values from VASP.

Computed properties:
**DFT total energy**: -9.252 eV per atom
**Energy relative to the elements**: 0.9264 eV per atom
**Space group**: No. 225

```
&SYSTEM
  ibrav = 0, nat = 29, ntyp = 2
/
ATOMIC_SPECIES
Gd 157.25 Gd.upf
Mn 54.94 Mn.upf
ATOMIC_POSITIONS crystal
Gd 0.210 0.210 0.790
Gd 0.210 0.790 0.210
Gd 0.210 0.790 0.790
Gd 0.790 0.210 0.210
Gd 0.790 0.210 0.790
Gd 0.790 0.790 0.210
Mn 0.000 0.000 0.500
Mn 0.000 0.500 0.000
Mn 0.000 0.500 0.500
Mn 0.142 0.619 0.619
Mn 0.177 0.177 0.177
Mn 0.177 0.177 0.468
Mn 0.177 0.468 0.177
Mn 0.381 0.381 0.381
Mn 0.381 0.381 0.858
Mn 0.381 0.858 0.381
Mn 0.468 0.177 0.177
Mn 0.500 0.000 0.000
Mn 0.500 0.000 0.500
Mn 0.500 0.500 0.000
Mn 0.500 0.500 0.500
Mn 0.532 0.823 0.823
Mn 0.619 0.142 0.619
Mn 0.619 0.619 0.142
Mn 0.619 0.619 0.619
Mn 0.823 0.532 0.823
Mn 0.823 0.823 0.532
Mn 0.823 0.823 0.823
Mn 0.858 0.381 0.381
CELL_PARAMETERS angstrom
0.000 6.083 6.083
6.083 0.000 6.083
6.083 6.083 0.000
```

# 2
CuH2SO5 | PBE | optimized geometry Values from VASP.

Computed properties:
**DFT total energy**: -5.486 eV per atom
**Energy relative to the elements**: -1.4497 eV per atom
**Space group**: No. 2

```
&SYSTEM
  ibrav = 0, nat = 18, ntyp = 4
/
ATOMIC_SPECIES
Cu 63.55 Cu.upf
H 1.01 H.upf
S 32.06 S.upf
O 16.00 O.upf
ATOMIC_POSITIONS crystal
Cu 0.000 0.000 0.000
Cu 0.500 0.500 0.500
H 0.021 0.508 0.685
H 0.177 0.595 0.222
H 0.823 0.405 0.778
H 0.979 0.492 0.315
S 0.392 0.070 0.755
S 0.608 0.930 0.245
O 0.147 0.453 0.276
O 0.260 0.163 0.907
O 0.287 0.198 0.610
O 0.295 0.842 0.154
O 0.338 0.766 0.673
O 0.662 0.234 0.327
O 0.705 0.158 0.846
O 0.713 0.802 0.390
O 0.740 0.837 0.093
O 0.853 0.547 0.724
CELL_PARAMETERS angstrom
5.057 0.000 0.000
-0.039 5.245 0.000
-2.416 -2.561 6.979
```

# 3
La3Pm | PBE | optimized geometry Values from VASP.

Computed properties:
**DFT total energy**: -4.869 eV per atom
**Energy relative to the elements**: 0.0209 eV per atom
**Space group**: No. 139

```
&SYSTEM
  ibrav = 0, nat = 4, ntyp = 2
/
ATOMIC_SPECIES
La 138.91 La.upf
Pm 145.00 Pm.upf
ATOMIC_POSITIONS crystal
La 0.000 0.000 0.000
La 0.250 0.750 0.500
La 0.750 0.250 0.500
Pm 0.500 0.500 0.000
CELL_PARAMETERS angstrom
-2.633 2.633 5.279
2.633 -2.633 5.279
2.633 2.633 -5.279
```

# 4
NaSi | PBE | optimized geometry Values from VASP.

Computed properties:
**DFT total energy**: -3.360 eV per atom
**Distance to the lowest polymorph of the same formula**: 0.025 eV per atom
**Energy relative to the elements**: 0.0496 eV per atom
**Space group**: No. 15

```
&SYSTEM
  ibrav = 0, nat = 16, ntyp = 2
/
ATOMIC_SPECIES
Na 22.99 Na.upf
Si 28.09 Si.upf
ATOMIC_POSITIONS crystal
Na 0.115 0.651 0.887
Na 0.243 0.415 0.595
Na 0.349 0.885 0.613
Na 0.415 0.243 0.095
Na 0.585 0.757 0.905
Na 0.651 0.115 0.387
Na 0.757 0.585 0.405
Na 0.885 0.349 0.113
Si 0.057 0.153 0.841
Si 0.153 0.057 0.341
Si 0.231 0.635 0.328
Si 0.365 0.769 0.172
Si 0.635 0.231 0.828
Si 0.769 0.365 0.672
********

All the Clans sat as equals below their respective Council of Ancients. They were the Dark Blade Clan, the Karepta Clan, the Kuk Clan, and above them all sat the two Kings.

Once all were in order T'a'tuolth and Van-To'tea bid the Clan Leader to present the news to them. Stepping forward, Daun'dcheaad lowered himself onto a knee before all as he spoke.

/My Elders and Kings, the planet of the Humans has given birth to something new that may one day come to rival even our own might.\

There was much outcry at this statement. What was this? Surely there was not anything there that could challenge them. Both Kings silenced their peoples and bid the Hunter speak.

/I present the Huntress who brought this to my attention.\

Turning to the door as it opened a small, lithe shape entered the assembly area.

/Why is a child-maker present?\

An Elder growled as the female stiffened, clenching her fist before she could do anything rash with her spear.

/Silence Uya-Zu! There is no call for such language, especially in front of Na'ytaan. She is an honored huntress of the Kuk Clan and has earned the title twenty times over by slaying two of the hard meat Queens before her first heat. So if you wish to entice her wrath, by all means just let the rest of us watch as she hands your head to the Kings.\

The Elder slammed his fist down as he glared across the room at the one who had spoken.


The Elders eased back at the sharp tone of King T'a'tuolth.

/I wish to hear of this encounter and whether or not this will have any affect on our collective future.\

King Van-To'tea nodded in agreement.

/That is what I say. Let the Huntress speak!\

The air was filled with soft growling as the female lowered herself to both knees before placing her head against the cool metal floor.

/My Elders and Kings, I shall tell all to you as it occurred.\

The air was hot and full of moisture as she trekked through the swampy marshlands. So unlike the grasslands she had stalked in her youth but welcome to her all the same.

She had just finished combing through the brackish water in pursuit of armored water beasts and had attained a handsome skull and skin as her prize when she heard it. Native music. And where there was music, there was prey. Human prey. Trilling happily at her unexpected good fortune she deftly made her way through the treetops, unaware of the eyes also following her as she went.

The entry is interrupted by records of crystals:
=====
# CoHO2

A relaxed structure of CoHO2 (PBE+U, the Materials Project).

* E_tot: -5.551 eV/atom
* magnetization: 2.0 μB/f.u.

a = 5.4006 Å, b = 2.8924 Å, c = 4.6601 Å
α = 90.00°, β = 108.43°, γ = 90.00°
Space group C2/m (No. 12)
Asymmetric unit:
Co 0.0000 0.0000 0.0000 (multiplicity 2)
H 0.0000 0.5000 0.5000 (multiplicity 2)
O 0.0817 0.5000 0.7736 (multiplicity 4)


[1]
Density functional theory data (r²SCAN) for a geometry-optimized Nb2Ni21B6 structure.

```
Nb2Ni21B6
1.0
4.5520 -5.0873 2.8078
-1.8860 -7.1344 -0.1668
3.5557 -4.6532 -4.4933
Ni B Nb
21 6 2
Direct
0.6155 0.6155 0.1534
0.0000 0.0000 0.0000
0.6155 0.1534 0.6155
0.0000 0.3405 0.6595
0.8466 0.3845 0.3845
0.6595 0.0000 0.0000
0.6595 0.0000 0.3404
0.3845 0.3845 0.8466
0.0000 0.0000 0.3405
0.6155 0.6155 0.6155
0.0000 0.3405 0.0000
0.6595 0.3405 0.0000
0.1534 0.6155 0.6155
0.3845 0.8466 0.3845
0.0000 0.6595 0.3405
0.3845 0.3845 0.3845
0.0000 0.0000 0.6595
0.0000 0.6595 0.0000
0.3405 0.6595 0.0000
0.3405 0.0000 0.0000
0.3405 0.0000 0.6596
0.7325 0.2675 0.2675
0.7325 0.7325 0.2675
0.2675 0.7325 0.2675
0.2675 0.2675 0.7325
0.2675 0.7325 0.7325
0.7325 0.2675 0.7325
0.2500 0.2500 0.2500
0.7500 0.7500 0.7500
```

Properties
Crystal system: cubic

[2]
Density functional theory data (r²SCAN) for a geometry-optimized Mg15Cu structure.

```
Mg15Cu
1.0
3.1438 -5.4452 0.0000
3.1438 5.4452 0.0000
0.0000 0.0000 10.0018
Mg Cu
15 1
Direct
0.1709 0.3418 0.7592
0.8314 0.1686 0.0000
0.8347 0.1653 0.5000
0.1709 0.3418 0.2408
0.3372 0.1686 0.0000
0.6582 0.8291 0.2408
0.6582 0.8291 0.7592
0.1709 0.8291 0.2408
0.8314 0.6628 0.0000
0.3333 0.6667 0.5000
0.8347 0.6694 0.5000
0.6667 0.3333 0.2529
0.3306 0.1653 0.5000
0.6667 0.3333 0.7471
0.1709 0.8291 0.7592
0.3333 0.6667 0.0000
```

Properties
Crystal system: hexagonal

[3]
Density functional theory data (r²SCAN) for a geometry-optimized BaTi6O13 structure.

```
BaTi6O13
1.0
7.4916 -0.0212 0.0007
3.6705 6.5918 -0.0027
2.6478 1.9457 9.3439
O Ti Ba
26 12 2
Direct
0.1674 0.0096 0.6130
0.8326 0.9904 0.3870
0.6010 0.8743 0.5996
0.7235 0.1518 0.6398
0.8435 0.2936 0.1405
0.3700 0.4581 0.1279
0.6911 0.7109 0.3774
0.1565 0.7064 0.8595
0.9444 0.5835 0.1170
0.7415 0.8288 0.8901
0.5466 0.4152 0.3742
0.9827 0.2760 0.3672
0.1253 0.8689 0.1473
0.6300 0.5419 0.8721
0.8821 0.4459 0.6093
0.3990 0.1257 0.4004
0.5625 0.6766 0.1402
0.8747 0.1311 0.8527
0.2585 0.1712 0.1099
0.0173 0.7240 0.6328
0.1179 0.5541 0.3907
0.4375 0.3234 0.8598
0.0556 0.4165 0.8830
0.3089 0.2891 0.6226
0.4534 0.5848 0.6258
0.2765 0.8482 0.3602
0.9240 0.9176 0.7665
0.7899 0.5436 0.9805
0.7564 0.5064 0.2786
0.4093 0.8441 0.4971
0.6806 0.3714 0.7513
0.3194 0.6286 0.2487
0.1310 0.2756 0.4980
0.2436 0.4936 0.7214
0.8690 0.7244 0.5020
0.0760 0.0824 0.2335
0.2101 0.4564 0.0195
0.5907 0.1559 0.5029
0.3240 0.9694 0.8700
0.6760 0.0306 0.1300
```

Properties
Crystal system: triclinic

[4]
Density functional theory data (r²SCAN) for a geometry-optimized Be2RuPt structure.

```
Be2RuPt
1.0
0.0000 2.7982 2.7982
=====

She eased back as she came upon the camp and bent low to the limb she was on. Securing her catch to herself she did a cursory glance over the site and growled in disappointment. This was nothing but a group of juveniles in rut. She made to turn back and return to her ship when something caught her eye or more accurately ear.

Settling back onto the branch she looked closer at the camp. Music was indeed blaring out into the nightscape as were the cries of passion but they sounded ... off... as though recorded. She dropped off her branch and cloaked herself as she walked among the tents. She could see heat signatures within but they weren't alive. Clicking curiously she opened one and saw an oblong block that was giving off the heat she saw, in addition she saw a small circle that was echoing the sounds she heard.

Her mind was whirling as she tensed and expanded her senses. There was no other threat nearby so this fake campsite wasn't meant as a trap to her. Then what was this for?

As silently as she entered, she left and and examined the perimeter. She spotted a native transport and approached close enough to listen to the male as he spoke, her mask translating his tongue for her.

/Nothing here, just a bunch of drunken kids, I'm on my way back.\

She rumbled in thought before something else caught her attention. Quick as a whip she vanished into the trees, leaving a confused male as he turned around.

She settled into a perch and waited.

The transport soon drove off and the land became silent, except for the noise from the fake camp.

She waited there patiently for one planet hour when the first moved.

Out of the bushes came a whole pack of Humans, ones that were armed and clearly trained as Hunters.

She purred as she eyed eight or ten promising trophies, the Hunt had just become more interesting. Giving a silent prayer to the Huntress and her Ancestors she checked her Honor gauntlet before pursuing her prey.

Then things became very strange.

She counted the Human pack at first numbering three hundred. One hour into her stalking it became a hundred and fifty. She dismissed that at first, believing they were circling whatever it was they were hunting.

Then came the screams.

Her head whipped to the sound and watched a body drop without its skull. She cursed silently as below the marshes erupted with weapon fire.

She gritted her teeth and hissed when one made contact with the outside of her left thigh. Hissing, she tried to leap to another branch but skidded sloppily and crashed into a lower branch.

Looking down she saw the reason for her sloppy landing; the broken remains of a dart in her thigh glared back at her. Fighting to keep her breathing slow so she could escape, she turned and leapt again.

Her landing however had not gone unnoticed from below. The song of hundreds of darts flew near her perch, many finding purchase in her neck and back as she tried to keep her breathing slow.

She dove into a river and kept absoluetly still as more darts whizzed past her. She could not wait to kill these Humans and claim their skulls as her own.

Then the waters silenced before turning dark red with blood, followed by the bodies of her unknowing prey.

Feeling the need for breath become too great she surfaced and heaved herself ashore as the soft patter of rain began to fall upon her.

She turned and watched as one of the armored water beasts she had earlier stalked come closer and snap at one of the still live Humans and drag them off into the deeper water.

She watched as others came for the dead and dying as the rain continued to fall. One came close to her but stayed just out of her reach, others joined it in waiting. She felt her eyes close as the darts took hold, then black.

She awoke to find herself in another part of the marsh under the roots of a tree with a piece of meat beside her.

Growling at her ineptness she weakly reached out for the food. It took several tries before her hand worked well enough to grip the meat and bring it to her face.

Biting off healthy chunks of meat she eased herself back and heard something chittering above her.

It took two moon rises but eventually she had regained her strength and could move on her own well enough to return to her ship. Throughout it all she had been provided with a piece of meat for the day and had relied upon the river for drink.

Then she heard the soft rumbling chitter and turned. There standing before her was a bipedal animal with a gleaming intelligence in her eyes. Na'ytaan knew immediately that she was in the presence of one who had saved her.

The creature turned and gave a chirp.

The Huntress' head turned softly as she rose from her kneeling position and followed. This creature had a voice like their own and if taught could speak it.

Following the blue-striped creature she became aware of more as her mind cleared itself of the induced haze.

Her equipment wasn't working and there was more than one of the blue-stripe.

Others appeared from all around her. She wouldn't have been surprised if others were still around her but hidden to strike if needed.

They led her to a sheltered clearing where she saw Young hide behind their Elders and nests guarded by ferocious looking pairs.

As they approached the base of a large tree the blue-stripe broke away and walked up to a pair of large black creatures.

She slowly eased herself down and watched the interaction as her guide appeared to be explaining to the larger black one.

Briefly she wondered if this was what it was like for her people when they first developed.

The larger black one easily prowled up to her.

She blinked twice as the scent of a male entered her nose, along with what she would associate with an Alpha creature.

Thinking better of it, she took off her mask and set it down in front of him as he bent closer and smelled her scent.


The rough human speech took her back slightly but she understood then that this was another Hunter. The Humans had obviously been after this one but he was clearly the better.

She had dared to violate the territory of a Hunter who was clearly her better in skill.

Bowing her head lower than his she chanced the old dialects.

/I am a Huntress of the Kuk Clan.\

There were growls and the black female made to move but was halted by a hiss from the male.

/I do not know this pack.\

Breathing quietly in relief she realized the old dialects were not only understandable but eerily similair.

/I meant no disrespect or to steal any of your kill, I was hunting the Humans as they are worthy opponents.\

Growling the black Alpha gave a sharp barking sound to the assembled and they dispersed.

/Leave our territory and live. I will permit your hunts on the outer rim however.\

Looking up Na'ytaan had a daring idea.

/If I may. Can I return to teach you and yours my kind's skill in the hunt?\

The other black female gave a hiss again.

/Who are you to think we may be swayed by your offers?\

The male silenced her again.

/IF we allow you to, what do you have to gain?\

Na'ytaan didn't even hesitate in her reply.

/Prey. You seem to attract Hunters from among the Humans. For us there is no finer sport.\

The black male seemed to be thinking it over in his mind as his void colored eyes tightened in thought.

Then without preamble he set his massive claws over her hands.

/We shall see Huntress.\

The blue-stripe and black female took either side of the pair as they continued to stare deep into the others eyes.

Both females lunged forward and stabbed their talons through both their Alpha's and Na'ytaan's hands.

== Unrelated to this article: calculated crystals ==
........
! PBE+U MgTe3WO12, relaxed; values from VASP
! total moment	0.000	Bohr magnetons per cell
! energy above the most stable polymorph in this dataset	0.037	eV per atom
! space-group type	P1, No. 1
! ΔE_f	-1.7141	eV/atom
&SYSTEM
  ibrav = 0, nat = 17, ntyp = 4
/
ATOMIC_SPECIES
O 16.00 O.upf
Te 127.60 Te.upf
W 183.84 W.upf
Mg 24.30 Mg.upf
CELL_PARAMETERS angstrom
-2.717 -4.736 0.518
4.759 -9.271 3.688
1.160 -6.893 6.773
ATOMIC_POSITIONS crystal
O 0.844 0.723 0.220
O 0.731 0.907 0.329
O 0.255 0.109 0.640
O 0.343 0.793 0.150
O 0.251 0.639 0.593
O 0.157 0.289 0.759
O 0.148 0.831 0.701
O 0.744 0.391 0.375
O 0.877 0.155 0.273
O 0.367 0.273 0.163
O 0.600 0.686 0.872
O 0.628 0.209 0.855
Te 0.499 0.504 0.498
Te 0.973 0.502 0.019
Te 0.501 0.995 0.510
........

She fought to keep herself silent, sensing this to be a sort of rite.

/It is done.\

The male rumbled as he stood up. Na'ytaan did as well not wanting to be seen as weak amongst the male's people.

/Find us Huntress when you are ready so the Kritomoloch may learn these ways of yours.\

Na'ytaan jerked as her equipment suddenly flared to life she turned around and was met with an empty clearing.

This Hunt had indeed exceeded her expectations, she clenched her wounded hands into fists and lifted them up with a bellowing roar.

Listening to the echo as it carried she returned to her ship and sent a message to her Clan leader of the development.

The Kings sat back as they both mulled over the possible ramifications of the Huntress' story. An entirely new breed of Hunter had evolved on
Earth and when compared to Humans, their potential was incredible.

Imagine the possibilities if this species were left to grow as they had? At long last, their thirst for a race of true equals could in fact be realized.

Both Kings shared a look then nodded as they turned to the assembly of Elders and Leaders and spoke as one.

/Let it be known we are not the only Hunters on this world. Should they one day rise to be as we are, let us welcome them to the Hunts. The Huntress has certainly provided us with a unique opportunity. We would all be wise to take heed of it.\